Being a parent in this era is frighteningly different than when we were kids. I recently read an article about a Guelph family who is living a year like it's 1986. I never really thought about the differences before, except when I get a question from D or B like "what's a cassette player?" We now live in an era where "perfect" parenting ideals can be seen high and low, you can find infinite posts online about perfect school lunches, make-your-own crafts with kids, how to live free of television, how to use television to make smarter kids, how to spend more time with your kids, how not to yell at the kids, why not to vaccinate, why TO vaccinate, how to helicopter parent, how not to helicopter parent, how to spend more time outside, which baby groups to join, which books to read...Baby Einstein DVDs to make your kid smarter, Baby Einstein DVDs to make your kids dumber, teaching your baby Sign Language, internet safety, viruses that have nothing to do with human illness, how and why to eat less junk food, the junk they put in your supposed "healthy food", GMOs, Dead honeybees......Knowledge that we were blissfully ignorant of while eating our neon orange, high salt Kraft Dinner or Chef Boyardee for lunch when we were kids...
I was born in 1976. I lived happily without cell phones and blue tooth, data packages and Netflix, DVD players and MP3 players, I got my first CD player when I was 18! I lived without cordless nightlights and clocks that light up when it's "OK to wake!", the INTERNET, digital cameras, cameras on your phone, instant upload, online social media, recipes for EVERYTHING online, there was no "app for that"....vaccines for chicken pox and the FLU, ...I walked to school alone in Toronto in elementary school, and took the subway with friends...went to the theatre and bought my tickets in person, didn't check seating charts and order online.....I remember the controversy that was the beginning of Sunday Shopping, Debit Cards, I remember using the bank of pay telephones in the mall to check in with my mom, or call friends in private...I remember the disbelief that one could now send photos and forms and letters by TELEPHONE on this amazing invention called a FAX machine.. I remember the amazement when they allowed more than one phone line in the house, probably to offset those fax machines... or more than one phone number/ringtone for a single land line! I was also around before the era of telemarketers.... I was around for the invention of the expression "landline", as well as "text me", "friend me", LOL, OMG, BFF...
I remember when Avent baby bottles were the best on the market, so different than the others. I remember the controversy when Avent baby bottles were not taken OFF the market when it was discovered that they were laden with toxic BPA....I remember when no one wore their children in a sling, when snuggli was the only (albeit horrid) carrier around that people knew about...when strollers faced forward only, couldn't house your up-to-35lb child infant car seat, and didn't have interchangeable seats at all...I remember stainless steel and vinyl coated highchairs and booster seats, seats with fold out steps that made a satisfying "clang" when you played with the steps with your feet - no straps on those! I remember the doctor's house-call service when my fever was over 40C at midnight, getting cold medication before the age of 6, sitting in the front seat of the car, no child safety seat, or in my dad's LAP when he was driving, under the age of 5....
I remember the isolation when friends couldn't or wouldn't play, when no one was around to talk on the phone, or the line was busy, because that was the ONLY social outlet at home, no chat rooms, or online forums.... I remember feeling like a loser or a geek because I liked things that the kids in my micro-universe didn't, and there were no "it gets better" projects back then. I remember pretty stationary and pen-pals from another country, I remember singing highly inappropriate and racist kid-taunts and songs, not knowing their impact on the world, and remember being the butt of some of those remarks and songs...I remember singing "Free to be You and Me", and watching this gem on reel-to-reel and a projection screen in class:
I remember $2.00 Tuesdays at the movie theatre in the mall. The small one, with 2 choices, and no Dolby-digital surround sound. I remember when everything WASN'T produced in China, or other "less developed" countries where abuse and child labour were prevalent, as we are learning about in social media circles right now.....and a time before dollar stores.... I remember handing in hand written school assignments...double spaced, writing neatly to the right of the red line on our loose-leaf lined paper....and later the zip-zip screechy sound of the dot-matrix printer, and having to separate all of the perforated edges of the page guides.....I remember learning to properly touch-type with 10 fingers on a TYPEWRITER with no letters on the keys, either so we memorized them, or because they were so well-worn the letters were gone.....Changing the ink ribbon....spacing manually....going to the library to research school projects.... I even remember the Dewey-decimal system, and card-stock library tags
in the backs of the library books where you put your name and the due
date, rather than bar codes...stuffed animals and dolls that didn't come with their own websites, but were fun on their own...
I remember biking for hours, as far from home as I dared, on my own or with my friend...reading for hours when it was raining, Commander Tom's world when watching TV in the basement on Sunday Mornings while my parents slept...following the morning show schedule, WITH commercials, and not having a choice as to watch anything else...later playing cartridges or big black floppy discs on our Commodore 64...
Being allowed, at age 10 to invent cake recipes with my friend...and use the oven without supervision!
I remember when K-mart was the enemy, where no one wanted to admit to shop at because it was totally uncool, and before the invasion of Walmart and Target.....I remember fluorescent clothing the First time around, as well as Big hair and WAY too much makeup...Lip Smackers flavoured lip gloss...Plastic Hallowe'en costumes with plastic masks that were impossible to see through, and got all sweaty or broke before the end of trick-or-treating...
(Records of crystals, kept here for reference)
<<<
Crystalline NaCaHfPS2O12 at its relaxed geometry. Source: the Materials Project database, functional PBE-GGA.

As for the energy of formation from the pure elements: -2696 meV/atom. Its energy is -7.035 eV/atom.

abc: 9.087 9.069 23.027
angles: 89.71 90.00 120.07
Positions (direct):
O 0.138 0.520 0.579
O 0.334 0.461 0.363
O 0.335 0.865 0.252
O 0.874 0.543 0.423
O 0.785 0.799 0.198
O 0.804 0.803 0.585
O 0.455 0.327 0.031
O 0.482 0.186 0.246
O 0.144 0.628 0.079
O 0.210 0.178 0.802
O 0.208 0.001 0.591
O 0.537 0.655 0.258
O 0.486 0.365 0.136
O 0.798 0.003 0.694
O 0.048 0.848 0.413
O 0.489 0.122 0.636
O 0.204 0.215 0.090
O 0.374 0.861 0.581
O 0.154 0.195 0.413
O 0.872 0.327 0.531
O 0.535 0.659 0.864
O 0.153 0.455 0.969
O 0.205 0.003 0.194
O 0.127 0.461 0.863
O 0.461 0.334 0.421
O 0.968 0.789 0.803
O 0.816 0.532 0.746
O 0.704 0.186 0.746
O 0.822 0.293 0.247
O 0.676 0.141 0.420
O 0.484 0.628 0.579
O 0.717 0.532 0.246
O 0.156 0.696 0.469
O 0.530 0.865 0.752
O 0.669 0.543 0.923
O 0.383 0.520 0.079
O 0.302 0.844 0.971
O 0.816 0.960 0.412
O 0.540 0.696 0.969
O 0.821 0.789 0.303
O 0.338 0.875 0.861
O 0.014 0.799 0.698
O 0.823 0.029 0.804
O 0.207 0.207 0.696
O 0.793 0.001 0.091
O 0.118 0.655 0.758
O 0.537 0.875 0.361
O 0.633 0.122 0.136
O 0.471 0.293 0.747
O 0.639 0.509 0.637
O 0.144 0.960 0.912
O 0.129 0.459 0.255
O 0.457 0.126 0.531
O 0.487 0.861 0.081
O 0.867 0.535 0.027
O 0.302 0.455 0.469
O 0.330 0.459 0.755
O 0.123 0.659 0.364
O 0.206 0.029 0.304
O 0.968 0.178 0.302
O 0.800 0.848 0.913
O 0.465 0.141 0.920
O 0.879 0.365 0.636
O 0.011 0.215 0.590
O 0.874 0.334 0.921
O 0.870 0.509 0.137
O 0.543 0.844 0.471
O 0.041 0.195 0.913
O 0.001 0.207 0.196
O 0.669 0.126 0.031
O 0.668 0.535 0.527
O 0.998 0.803 0.085
S 0.985 0.697 0.750
S 0.973 0.353 0.583
S 0.380 0.353 0.083
S 0.319 0.366 0.416
S 0.632 0.681 0.917
S 0.047 0.366 0.916
S 0.300 0.286 0.749
S 0.651 0.031 0.084
S 0.380 0.031 0.584
S 0.049 0.681 0.417
S 0.713 0.697 0.250
S 0.986 0.286 0.249
Na 0.008 0.972 0.003
Na 0.319 0.687 0.171
Na 0.651 0.296 0.337
Na 0.644 0.296 0.837
Na 0.964 0.972 0.503
Na 0.368 0.687 0.671
P 0.711 0.015 0.748
P 0.657 0.621 0.581
P 0.304 0.015 0.248
P 0.641 0.959 0.414
P 0.964 0.621 0.081
P 0.318 0.959 0.914
Hf 0.995 0.000 0.852
Hf 0.668 0.336 0.685
Hf 0.323 0.674 0.019
Hf 0.350 0.674 0.519
Hf 0.667 0.336 0.185
Hf 0.006 0.000 0.352
Ca 0.338 0.677 0.312
Ca 0.668 0.333 0.479
Ca 0.665 0.333 0.979
Ca 0.991 0.996 0.645
Ca 0.339 0.677 0.812
Ca 0.004 0.996 0.145


Eu2CdHg PBE-GGA relaxed; space group = No. 225; E = -23.56 eV for the cell shown; formation enthalpy at 0 K = -0.454 eV/atom
1.0
0.0000 3.9458 3.9458
3.9458 0.0000 3.9458
3.9458 3.9458 0.0000
Eu Cd Hg
2 1 1
Cartesian
1.9729 1.9729 1.9729
5.9186 5.9186 5.9186
0.0000 0.0000 0.0000
3.9458 3.9458 3.9458
>>>
(So much for the records of crystals)
What will my kids remember? What will stick out for them as important? Exciting? New? Different? How will they value themselves and judge themselves in an era where every possible bit of information to compare themselves against is out there, in your pocket, on the computer, on digital bill-boards....when every child's private life, and every teens' love life is posted with photographs online...when library research is replaced with online research...when you can self-diagnose online without going to a doctor...
I'm scared for my children. There's so much more to navigate than when we were young. But I'm also excited for them....and their children....
" ..They'll learn much more...than I'll ever know..."